Naturalization Not on the test

What to Wear at the Oath Ceremony

Hooray – you’ve passed your Naturalization test, and you’ve been called for your oath ceremony. But wait!

In big underlined capital letters on the hard to read purple invitation, it says


Yes, it really is in all CAPS. They really want you to pay attention to what your fans wear at this solemn and meaningful event. So you have to dress in proper attire. The dignity of the event must be respected. It even clearly states, no jeans, shorts or flip flops. Even in Austin, TX, where proper attire normally means you just have your genitals either covered up or painted.

But what does it mean? In the formal wear of your home nation? Mu-mus and baskets of fruit on your head and so on may be de rigeur back home, but in America, I think it means something like khaki pants and a polo neck. Shudder. Or a little black dress if you’re a man.

Surely if it says no nut-hugging jean shorts nor flippy floppies – the only named exclusions – does that mean anything else goes – unitards, tiaras, EL-wire butterfly wings and cod-pieces.

I’ve never seen Coming to America: outfits shown here,


but I have seen this:

captain hook
Please hold up your right, and only hand

Also, checking out related posts on immigration portal about what to wear, it seems the consensus is somewhere between “your best clothes”, “a floral dress”, and “nothing too sexy.” Looking at this crowd shot of an oath ceremony, I would say “butt hugging” seems to be recommended. And if you are going to wear a hook, do it in place of your left hand.

Not on the test

158
Properties=species:S:1:pos:R:3:forces:R:3 method="wB97M-V/def2-TZVPD" multiplicity=1 charge=0 orbital_gap_ev=9.24
C -3.1128 -0.3915 4.1769 0.0 -0.1 0.0
C -2.2342 -0.1161 2.9568 -0.4 0.0 0.1
I -0.4446 0.8787 3.6191 0.3 -0.1 -0.1
C -2.9264 0.7223 1.8725 0.1 -0.4 0.3
Si -2.5530 0.3485 0.0800 -0.1 0.5 -0.3
I -2.3680 -2.0958 -0.1930 0.1 -0.1 0.0
C -4.0148 0.9756 -0.9110 -0.2 -0.2 -0.1
C -5.0021 -0.0672 -1.3977 -0.1 0.2 -0.1
O -6.1443 0.6044 -1.9217 0.0 -0.1 0.0
C -0.9916 1.2336 -0.4698 0.2 -0.1 -0.1
C 0.1802 0.4267 -1.0458 0.3 0.3 0.1
C 0.4067 0.6703 -2.5234 0.0 -0.3 0.0
Cl -1.0895 0.4325 -3.4935 -0.1 0.0 0.0
H -3.0257 0.3775 4.9410 -0.1 0.1 0.0
H -2.8495 -1.3463 4.6352 0.1 0.1 0.1
H -4.1581 -0.4542 3.8669 0.0 0.0 0.0
H -1.8858 -1.0689 2.5650 0.1 0.1 -0.1
H -4.0115 0.6210 1.9866 0.0 0.0 0.0
H -2.7030 1.7814 2.0196 -0.1 0.0 0.0
H -3.6583 1.5612 -1.7612 0.0 0.0 0.0
H -4.5656 1.6453 -0.2420 0.1 0.1 -0.1
H -5.3081 -0.7164 -0.5691 0.1 -0.1 0.0
H -4.5481 -0.6832 -2.1814 0.1 -0.1 0.1
H -6.7744 -0.0933 -2.1433 0.0 0.2 0.0
H -0.6402 1.8258 0.3788 -0.1 -0.1 0.1
H -1.3181 1.9538 -1.2266 -0.1 0.0 0.1
H 0.1129 -0.6442 -0.8544 -0.2 0.0 0.0
H 1.0941 0.7601 -0.5474 0.1 -0.1 0.0
H 0.7552 1.6818 -2.7185 -0.1 0.0 0.0
H 1.1128 -0.0465 -2.9353 0.1 0.1 0.0
Cl 3.9381 1.1213 -1.2807 0.0 0.0 0.0
C 4.5151 -0.5705 -1.3498 0.1 0.0 0.0
C 3.4109 -1.5593 -1.0841 -0.1 0.0 0.0
Cl 2.8053 -1.5062 0.5900 -0.1 0.1 0.0
H 5.3231 -0.6618 -0.6296 0.0 0.0 0.0
H 4.9033 -0.7272 -2.3538 0.0 0.0 0.0
H 3.7797 -2.5687 -1.2595 0.0 0.0 0.0
H 2.5643 -1.3779 -1.7422 0.0 0.0 0.0
Cl 6.7128 2.2742 -6.4907 0.0 0.0 0.0
C 5.0457 2.7197 -6.0140 0.1 0.0 -0.1
C 4.6296 2.0626 -4.7281 -0.1 0.0 0.1
Cl 4.4409 0.2949 -4.9017 0.0 0.0 -0.1
H 4.3892 2.4493 -6.8362 0.0 0.0 0.0
H 5.0300 3.7993 -5.8939 0.0 0.0 0.0
H 3.6621 2.4556 -4.4207 0.0 0.0 0.0
H 5.3488 2.2374 -3.9329 0.0 0.0 0.0
Cl -7.7591 -5.7172 -2.1366 0.0 0.0 0.0
C -6.2732 -4.7257 -2.2048 0.0 0.0 0.0
C -6.2708 -3.6265 -1.1793 0.1 0.1 0.0
Cl -7.4996 -2.3770 -1.5303 -0.1 -0.2 0.1
H -6.1932 -4.3269 -3.2128 0.0 0.0 0.0
H -5.4285 -5.3860 -2.0274 -0.1 0.0 0.0
H -5.3012 -3.1274 -1.1903 0.0 0.0 0.0
H -6.4617 -4.0035 -0.1783 -0.1 0.0 0.0
Cl 11.2595 4.8142 -9.5759 0.0 0.0 0.0
C 9.8979 3.8002 -9.0286 0.0 0.0 0.0
C 10.3596 2.6106 -8.2301 -0.1 0.0 0.1
Cl 11.2481 1.4276 -9.2317 0.0 0.0 0.0
H 9.3402 3.4922 -9.9086 0.0 0.0 0.0
H 9.2612 4.4234 -8.4034 0.0 0.0 0.0
H 9.4944 2.0932 -7.8199 0.0 0.0 0.0
H 11.0149 2.9055 -7.4154 0.0 0.0 0.0
Cl 4.8771 6.7772 -7.8022 0.1 0.0 0.1
C 3.2151 7.2838 -7.4123 0.0 0.0 0.0
C 2.7296 6.6376 -6.1410 0.0 0.0 0.0
Cl 2.5140 4.8770 -6.3567 -0.2 0.0 0.1
H 2.5850 7.0234 -8.2586 0.0 0.0 0.0
H 3.2262 8.3660 -7.2944 0.0 0.0 0.0
H 1.7623 7.0448 -5.8540 0.0 0.0 0.0
H 3.4349 6.7881 -5.3282 0.0 0.0 0.0
Cl -5.3166 -6.9262 -5.2579 0.0 0.0 0.0
C -3.7172 -7.6598 -4.9682 0.0 0.0 0.0
C -3.3740 -7.6852 -3.5014 0.0 0.0 0.0
Cl -3.1149 -6.0395 -2.8605 0.2 0.0 0.0
H -2.9842 -7.0925 -5.5351 0.0 0.0 0.0
H -3.7554 -8.6785 -5.3493 0.0 0.0 0.0

US in WW2

Now the US immigration test has some questions about Modern History, and it was arguably in WW2 that the US became a superpower. This all kicked off with the Japanese attack on Pearl Harbor, irritatingly just between Thanksgiving and Christmas in 1941. That was it, the American gloves were off and it was bare knuckle boxing from B52s from there on out. Actually B52s were first contracted in 1946, the year after things ground to a super halt. It was more B17s, but they weren’t strato-fortresses, and how often do you get to write that in a sentence?

So, the Japanese attacked Pearl Harbor, Roosevelt declared war on Japan, and Hitler shortly after declared war on the United States of America. Pearl Harbor was the first attack on US soil, with 9-11 being the second, though I guess American soil was attacked quite regularly in the Colonial Period. So if you look at it that way, The United States is doing quite well in the grand scheme of modern history.

From then on, there were skirmishes, battles and theaters of war in Europe, the Pacific, North Africa and a bit in Southeast Asia. Do they call them theaters as the war is more dramatic there? More shared cigarettes between close pals as they take their last breaths with eye make-up on? Not really sure.

Things spilled over to Italy and then to Northern Europe. Overlords, Cobras, and the Battle of the Bulge were the code names of the day. There was strategic bombing – laying waste to Germany and around there. There was Operation Queen – surely one for the glamorous moustache toting soldiers of the day if ever there was going to be some drama in the war – which involved two armies (the US First and Ninth) thrusting into the forests of the fatherland. After the Western Fronts were side-swiped, things calmed down in Europe around Cinqo de Mayo 1945 – Germany surrendered to theĀ  soviets on May 2nd in Berlin after a race to the tape, and the war in Europe was over by the 8th May 1945.

That only left the stubborn Japanese to dispatch with some f. devastating hydrogen bombs, and they surrendered on 15th August 1945 with the paperwork complete on 1st September. After the world was in ruin, the US rose to supremacy as the superpower of choice.